Thursday, October 17, 2019

Today's Blind Items - Revenge Served Super Cold

When I say super cold, I mean it has been decades, but this mogul is taking his shot. He is paying the legal bills of multiple people who are trying to bring down his ex. His ex, is someone all of you know. Every single one of you. For years, the mogul has been trying to plant people who get close to his ex and then bring him back things he can use against the ex or leak stuff to the press. The mogul was wildly successful a few years ago and managed to land three people in positions close to his ex. They were there for every bit of every day and night and saw and heard things that the mogul has been using to benefit himself and others in his employ. The ex has no idea the amount of stuff that has been taken from her. These are not material things, but they are just about every bit of her life for several years. The mogul is going to be ruining his ex's life for the next five or ten years with this stuff and is footing the bill for those who helped him, as well as giving them jobs and money.


  1. Mariah Tommy Mottola is exactly who I thought too.

  2. Well when you f*ck your way to stardom, you're going to run into some pr!cks.

  3. Agree with Mariah. Also the assistant is suing her too

  4. He's the only mogul who I know that has an ex everybody here knows. Only one other mogul I know who has an ex or two I/we all know of is Trump with Marla Maples and Ivana and I dont expect this to be them.

  5. when you set out to seek revenge, dig 2 graves.

    1. Good idea...I'll kill her and her mother-in-law.

    2. @herbert: Good God, an actual intelligent and thoughtful comment on this site!

  6. @herbert, One for them and one for their family? ;)

  7. I initially thought Ted Turner and Jane Fonda, but Mariah and Mottola make way more sense.

  8. Anonymous10:29 AM

    Years ago, Mariah Carey and her "entourage" came into our office building to visit the president of our company. She had about eighteen people with her. And it seemed like their entire purpose was to surround her so that no one could make any visual contact the person of Mariah Carey. My office looked down the hallway towards the president's office. It was absurd to watch these clowns surround her and shuffle down the hall. The other part of the too funny to watch shit show was when they tired to get on the elevator. The elevator was not large enough to hold all of these people. So the after the doors started buzzing the elevator lottery losers backed off and ran towards the stairs and then raced down the stairs to make an attempt to meet up with her on the first floor.

  9. He might want to be careful because she's not stupid and I am sure she could turn those tables on him with some of the stuff she knows about things that were done to other artists at Sony. Plus Mariah has the most loyal gays. They are everywhere and her lambs would never turn on her.

  10. This sounds like something Tommy Mottola would do, he was one of the most hated men in the music biz for a reason.

  11. @Seijn, Jeez it's not like she's Tori Amos.

  12. I don't believe Ted Turner go after Jane Fonda - they're friends. Though you never know ...

  13. Why can't people just cut their losses, especially when the other person has moved on and hasn't done anything especially reprehensible?

  14. Wouldn't Mariah have everyone she does business with or who works for her sign NDAs? I thought that was pretty standard in the celebrity world.

  15. @brayson. 1 for your target and 1 for yourself.

  16. Anonymous10:47 AM

    I trust Mottola knows that a curse touches both parties. When you drag someone down, you just did the same to yourself.
    We are all wronged at one time or another. The test of character is, do you raise that experience to love and compassion?..or do you lose yourself in hate?

    1. OMG @Daryl, the 2nd intelligent and thoughtful comment I've seen on this site. On the same day, on the same BI? Must be through the looking glass or something.

  17. So revenge is a dish best served cold?
    By my reckoning this makes revenge gazpacho.

  18. @herbert, No I'm pretty sure the second is for the person's family so they can hear their loved ones screaming as they're both buried alive. Dig your own grave please, who's going to fill it in afterwards? ;)

  19. Did you see her shove Diane Warren out of the way? It's on LaineyGossip.
    The nerve!

    1. It's also on the tube of you too.

  20. Mariah should have served him a dish of Fugu.

  21. Anonymous10:59 AM

    Gen-z 99
    Writing credit for the performer is standard procedure.
    There's a clip where Harry Styles is laughing about it, in his One Direction days.
    Julian says, "Give me a word...any word..." and they get writing credit.
    It was in their contract.
    Sure, Mariah was an opportunist... like any smart New Yorker

    1. 'The' and 'and' are their biggest contributions.

  22. Mariah may have been ruthless in her climb to stardom, but she has the talent to back it up. You don't see Iggy being a long lasting star,do you? Mottola started his revenge by making less talented singers famous. He treated Mariah horribly, and yet she's the cause of the problem. He has no reason for revenge,he is still sucessful. Can we possibly get at least one other reasonable guess?

  23. Do you think he was disappointed when he realized she was f*cking up her own life just fine? Like he had some grand master plan but her being a self-destructive drunken ho was way worse than anything he could have done? Like going to administer some karmic payback only to find the person trying to wrap their toes around the trigger. It's like whoa, yeah never mind, sorry to interrupt, I'll let myself out.

**The entry is interrupted by molecular data:**
Record 1
51
Properties=species:S:1:pos:R:3 method="wB97M-V/def2-TZVPD" e_tot_ev=-37630.0725 e_homo_ev=-11.3 total_charge=+1
C 0.48322 4.05384 -3.13674
N 0.03359 2.85444 -2.35793
C 0.58615 1.57324 -2.88759
B -1.44461 2.81612 -2.14326
O -1.92202 3.35063 -0.86134
C -2.45598 2.25371 -3.29326
O -2.32293 3.20243 -4.40108
C -3.58911 3.76996 -4.78502
O -3.92222 4.20316 -5.89453
O -4.39322 3.68505 -3.57165
C -4.04462 2.35429 -3.10265
F -4.51892 1.53013 -4.22257
I -4.97512 1.77423 -1.23310
H 0.71876 3.78985 -4.23600
H 1.46591 4.41530 -2.66071
H -0.35519 4.83064 -3.09339
H 1.64525 1.81468 -3.29525
H 0.01128 1.11758 -3.76549
H 0.76968 0.79022 -2.05139
H -2.35017 4.21478 -1.10367
H -2.20918 1.24255 -3.76320
C -0.76518 -1.35927 -0.43359
C -0.43515 -0.44412 0.73924
C 0.97854 -0.54170 1.31228
N 1.34813 -1.83546 2.06565
C 0.30024 -2.14060 3.13122
C 0.73242 -3.27063 4.05443
C 2.07163 -2.98572 4.71489
C 3.13973 -2.66970 3.68067
C 2.70580 -1.55590 2.73881
C 1.50134 -2.98530 1.08902
H -1.07574 -2.34911 -0.09506
H -1.60662 -0.94991 -0.99874
H 0.08020 -1.46043 -1.11884
H -1.19079 -0.55593 1.52136
H -0.54524 0.58532 0.37773
H 1.09968 0.27208 2.03371
H 1.72906 -0.40421 0.52808
H 0.14279 -1.21934 3.69920
H -0.62683 -2.40966 2.62097
H -0.02854 -3.40901 4.82775
H 0.78323 -4.21460 3.50220
H 2.37944 -3.84426 5.31715
H 1.96648 -2.13813 5.40203
H 3.39757 -3.57486 3.12275
H 4.05782 -2.36511 4.19206
H 3.43840 -1.40432 1.94161
H 2.59812 -0.62373 3.30127
H 2.08871 -2.64236 0.23687
H 0.51599 -3.32422 0.78065
H 2.00826 -3.81665 1.57446



Record 2
41
Properties=species:S:1:pos:R:3 method="wB97M-V/def2-TZVPD" e_tot_ev=-37753.7142 e_homo_ev=-6.9
C -1.64504 -2.55858 1.54076
C -0.30143 -3.19263 1.16297
C 0.91135 -2.26412 1.31002
In 0.64196 -0.17134 0.63764
B 0.70088 1.27957 2.42240
O 1.84250 1.48780 3.16246
O -0.39807 2.03980 2.80934
C -0.78879 3.13803 2.01164
C 0.19608 4.31163 2.09453
B -1.06026 0.10530 -0.86665
O -2.33521 0.60548 -0.64541
N -0.72720 -0.32055 -2.24908
C -0.60834 -1.77382 -2.21309
C -1.77515 -0.01750 -3.23291
P 2.76763 0.20737 -0.79272
O 4.00354 -0.24966 -0.10558
O 2.65257 -0.54432 -2.27879
O 2.99609 1.72930 -1.39303
H -2.13130 -2.06082 0.69677
H -2.35422 -3.30958 1.90181
H -1.51399 -1.82917 2.34499
H -0.16466 -4.07264 1.80606
H -0.34279 -3.59240 0.14093
H 1.24053 -2.24284 2.35305
H 1.75768 -2.66546 0.74245
H 2.34161 0.68348 3.33952
H -0.87804 2.80384 0.96550
H -1.78106 3.43487 2.35619
H 0.65678 4.52157 1.12627
H -0.29743 5.22864 2.42205
H 0.98599 4.07813 2.80881
H -2.36056 1.53102 -0.37908
H 0.28843 -2.08809 -1.68099
H -1.50541 -2.25225 -1.79668
H -0.51438 -2.09786 -3.28055
H -1.34280 -0.02657 -4.23674
H -2.58877 -0.75899 -3.19314
H -2.21028 0.97187 -3.11859
H 3.07673 0.01268 -2.94318
H 2.27581 2.30358 -1.10187
Cs 0.28902 -2.38481 -4.64810



Record 3
11
Properties=species:S:1:pos:R:3 method="wB97M-V/def2-TZVPD" e_tot_ev=-7764.8194 e_homo_ev=-11.2 e_above_lowest_kj_mol=164.7 smiles=C[C@]1(C#N)CO1
C -1.21197 0.38223 -0.49974
C 0.04697 0.10173 0.28444

  24. @Brayson - yes he would want credit for anything that f*cked up her life whether he was responsible or not. It's how the ego rolls.. he would talk her out of the trigger so he could turn around and pull it himself, eh?

  25. @Half Domer, If that isn't already a scene from a movie or show, please write it, that would be an epic scene! 👍

  26. Anonymous2:36 PM

# Between two parts of the page: data records
- - -
1) 16
Properties=species:S:1:pos:R:3 method="wB97M-V/def2-TZVPD" charge=-1 gap_ev=6.98 homo_energy_ev=-3.10
C 0.133 0.732 -1.573
C -0.710 -0.568 -1.486
S -1.641 -0.602 0.105
N 0.928 1.038 -0.393
H -0.581 1.540 -1.723
H 0.847 0.656 -2.396
H -0.028 -1.425 -1.531
H -1.357 -0.584 -2.366
H 1.296 0.207 0.087
H 0.281 1.201 0.380
H 2.892 1.109 -0.337
H 3.943 1.840 0.550
O 3.806 1.457 -0.318
H -1.125 -1.320 2.141
H -1.791 -2.290 3.154
O -1.487 -1.398 3.048

2) 16
Properties=species:S:1:pos:R:3 method="wB97M-V/def2-TZVPD" charge=-1 gap_ev=6.21 homo_energy_ev=-2.87
C -0.448 -0.287 0.227
C -0.153 -0.550 -1.253
S -1.530 -1.273 -2.180
N -0.905 -1.554 0.877
H -1.200 0.502 0.278
H 0.436 0.115 0.731
H 0.679 -1.273 -1.219
H 0.197 0.348 -1.759
H -1.206 -2.061 0.018
H -1.892 -1.331 1.088
H -0.435 -1.114 3.583
H 0.345 -1.150 2.340
O 0.482 -0.997 3.300
H 1.740 3.281 -1.290
H 1.826 3.450 -2.783
O 2.065 3.896 -1.958

3) 16
Properties=species:S:1:pos:R:3 method="wB97M-V/def2-TZVPD" charge=-1 gap_ev=6.19 homo_energy_ev=-2.63
C -0.135 0.396 0.560
C -0.814 -0.273 -0.632
S 0.247 -0.672 -2.137
N 0.947 1.420 0.149
H 0.353 -0.371 1.254
H -0.983 1.050 1.202
H -1.684 0.254 -1.124
H -1.207 -1.173 -0.199
H 0.647 2.176 -0.391
H 1.554 0.877 -0.397
H 2.337 0.601 1.598
H 2.386 -0.241 2.819
O 2.826 0.037 2.095
H -2.588 -0.946 1.658
H -3.103 -0.693 0.327
O -3.151 -0.219 1.259

4) 16
Properties=species:S:1:pos:R:3 method="wB97M-V/def2-TZVPD" charge=-1 gap_ev=5.68 homo_energy_ev=-2.61
C 0.238 -0.390 0.858
C 0.082 -1.182 2.212
S -0.991 -2.685 2.010
N 0.955 -1.272 -0.074
H -0.767 -0.063 0.525
H 0.906 0.418 1.031
H 0.990 -1.563 2.679
H -0.510 -0.598 3.039
H 1.928 -1.353 0.095
H 0.422 -2.170 0.100
H -2.198 4.358 -1.107
H -0.655 4.276 -1.296
O -1.467 4.672 -1.584
H 0.626 -0.950 -2.142
H -0.195 -0.926 -3.327
O 0.636 -0.571 -3.020

In order of decreasing stability: 1), 2), 4), 3).

1) 86
Properties=species:S:1:pos:R:3 method="wB97M-V/def2-TZVPD" charge=-1 gap_ev=7.52 homo_energy_ev=-5.14
Pb -0.183 -0.157 -0.330
N 3.130 0.089 1.622
C 3.972 0.840 0.862
C 5.343 0.625 0.861
C 6.224 1.521 0.239
C 5.765 2.645 -0.394
C 4.372 2.854 -0.494
C 3.814 3.960 -1.177
C 2.465 4.061 -1.319
C 1.649 3.039 -0.791
N 2.115 2.025 -0.107
C 3.466 1.932 0.085
H 3.411 -0.859 1.819
H 2.133 0.157 1.493
H 5.728 -0.252 1.369
H 7.289 1.326 0.282
H 6.447 3.363 -0.837
H 4.478 4.706 -1.599
H 2.009 4.881 -1.860
H 0.576 3.052 -0.963
O -1.132 -0.501 3.659
S -0.979 -1.123 2.355
O -1.315 -2.532 2.328
O 0.433 -0.917 1.814
O -1.813 -0.349 1.328
C -3.824 5.132 0.267
N -2.922 4.210 -0.396
C -2.291 4.726 -1.600
P -2.329 2.854 0.391
O -1.610 2.039 -0.642
N -1.455 3.394 1.695
C -0.698 4.642 1.581
C -0.755 2.403 2.527
N -3.676 2.164 1.066
C -4.365 1.218 0.169
C -3.755 1.789 2.481
H -3.310 6.044 0.603
H -4.272 4.643 1.129
H -4.621 5.434 -0.419
H -3.049 4.931 -2.365
H -1.598 3.986 -1.994
H -1.744 5.661 -1.412
H -1.148 5.309 0.850
H 0.341 4.460 1.291
H -0.696 5.143 2.553
H -1.291 1.458 2.563
H -0.680 2.784 3.548
H 0.256 2.215 2.153
- - -
# Here the page continues

    Mariah was always going to be a star. Mottola just got the demo tape before anyone else did.

  27. @Dary, Right right, like Mottola was just along for the ride. Great singers are so rare that the real reason they suck c*ck for songs must be that it's good for their vocal cords, not that they're common or talentless.

  28. I am socially connected to his son who uh... invited me to LA last week (yes for reals). If I was more of a social climbing gossip whore I would jump at it but instead it would be more like visiting a buddy who might want sex and I'm too polite to straight up ask about these rumors so **SIGH** ... opportunity wasted.

  29. I thought of Geffen and Cher, but maybe they're still on good terms.

  30. I was thinking Russell Simmons and his ex wife

  31. So mottola is still infatuated with Mariah...interesting

  32. If it wasnt for "her" ⅔ of the way through, i was gonna guess Geffen and Renner.

  33. He's a Satanist. When he headed up Sony he forced everyone who signed with them to undergo a Satanic ritual where they gave their souls to Satan. Candles, robes, and all.

- - -
{"formula": "C59H58BaClN6P", "method": "wB97M-V/def2-TZVPD", "largest_force_ev_per_a": 1.31, "e_above_lowest_ev": 2.564, "homo_lumo_gap_ev": 3.88, "energy_ha": -3438.5968, "total_charge": -2, "lumo_energy_ev": 3.601, "species": ["Ba", "C", "C", "C", "N", "C", "C", "C", "C", "C", "C", "C", "N", "C", "C", "C", "N", "C", "C", "C", "C", "C", "C", "C", "N", "C", "C", "H", "H", "H", "H", "H", "H", "H", "H", "H", "H", "H", "H", "H", "H", "H", "H", "H", "H", "H", "H", "H", "H", "H", "H", "H", "H", "C", "N", "C", "C", "C", "C", "C", "N", "C", "C", "C", "C", "C", "C", "H", "H", "H", "H", "H", "H", "H", "H", "H", "H", "H", "C", "C", "C", "C", "C", "C", "P", "C", "C", "C", "C", "C", "C", "C", "C", "C", "C", "C", "C", "H", "H", "H", "H", "H", "H", "H", "H", "H", "H", "H", "H", "H", "H", "H", "Cl", "C", "C", "C", "C", "C", "C", "C", "H", "H", "H", "H", "H", "H"], "positions_angstrom": [[-0.14122, 0.61910, 0.18512], [4.39705, 0.42294, 0.36892], [4.25148, -1.10388, 0.34697], [2.84088, -1.68558, 0.19269], [1.96764, -1.09090, 1.19219], [1.42689, -1.74269, 2.13910], [1.45934, -3.22862, 2.38300], [2.56324, -3.58874, 3.34399], [3.02000, -2.85914, 4.36495], [2.52997, -1.57530, 4.88229], [1.52539, -0.79614, 4.46191], [0.77108, -0.88657, 3.19539], [-0.19714, -0.12618, 2.84880], [-0.77053, 0.81457, 3.80643], [-0.10656, 2.20233, 3.83081], [-0.47975, 3.14716, 2.67165], [0.26458, 2.89977, 1.45066], [1.32407, 3.61122, 1.18458], [1.91187, 4.56296, 2.07814], [2.74197, 5.64277, 1.83834], [3.27146, 6.12777, 0.65195], [3.19303, 5.47596, -0.58119], [2.71007, 4.22718, -0.88877], [2.05850, 3.23674, -0.08037], [1.98364, 1.97731, -0.38404], [2.79075, 1.38419, -1.43467], [4.23377, 1.16442, -0.96456], [5.40466, 0.63974, 0.73768], [3.70344, 0.84319, 1.09962], [4.65563, -1.49005, 1.28922], [4.86813, -1.52416, -0.45467], [2.89703, -2.77346, 0.23721], [2.43761, -1.45776, -0.79585], [1.66006, -3.72147, 1.42839], [3.03199, -4.55267, 3.17132], [3.83423, -3.28898, 4.94114], [3.01806, -1.25210, 5.79674], [1.30156, 0.06652, 5.07858], [-0.78161, 0.39184, 4.81556], [-1.82114, 0.94037, 3.53049], [0.98233, 2.10096, 3.87191], [-0.42068, 2.68346, 4.76363], [-0.35843, 4.18055, 3.01560], [-1.54784, 3.01366, 2.45462], [1.62526, 4.44008, 3.11505], [2.98418, 6.22290, 2.72600], [3.81278, 7.06558, 0.68941], [3.63702, 6.00788, -1.41896], [2.86257, 3.91320, -1.91435], [2.79321, 1.96348, -2.36472], [2.33546, 0.42596, -1.69974], [4.69393, 2.15221, -0.85836], [4.78320, 0.63835, -1.75284], [-2.89421, 3.35858, -0.50994], [-2.08732, 2.29843, -1.09801], [-2.09900, 2.23243, -2.38345], [-1.30235, 1.36832, -3.19027], [-1.33085, 1.30867, -4.59310], [-0.34991, 0.39035, -4.96048], [0.22057, -0.05457, -3.75464], [-0.34132, 0.52395, -2.68664], [-4.22953, 2.88284, 0.01730], [-4.31100, 1.73631, 0.80323], [-5.52640, 1.30890, 1.31264], [-6.68671, 2.02624, 1.04478], [-6.61775, 3.16900, 0.26159], [-5.39530, 3.59112, -0.24880], [-3.06336, 4.17480, -1.22480], [-2.32425, 3.78572, 0.32186], [-2.74200, 2.92055, -2.95097], [-1.98883, 1.87190, -5.23995], [-0.07921, 0.07192, -5.95569], [1.00696, -0.78964, -3.64023], [-3.42335, 1.14703, 0.99452], [-5.56714, 0.40331, 1.90487], [-7.63851, 1.68707, 1.43482], [-7.51760, 3.72953, 0.03728], [-5.34720, 4.48018, -0.86834], [-7.42031, -3.43150, 1.46211], [-6.45495, -3.74000, 2.40931], [-5.15143, -3.27611, 2.26489], [-4.79988, -2.49090, 1.17162], [-5.77820, -2.18648, 0.22442], [-7.07400, -2.65498, 0.36109], [-3.11818, -1.80123, 0.87558], [-2.77444, -2.69541, -0.68177], [-2.82661, -4.08729, -0.79066], [-2.58099, -4.69932, -2.00739], [-2.29140, -3.93176, -3.13148], [-2.26838, -2.55176, -3.04193], [-2.51235, -1.93883, -1.81870], [-2.07650, -2.54207, 2.16579], [-0.98763, -3.29219, 1.84182], [0.05743, -3.71904, 2.85780], [-0.32018, -3.21771, 4.23515], [-1.46505, -2.51215, 4.48877], [-2.35767, -2.10449, 3.49154], [-8.43463, -3.79535, 1.57518], [-6.71232, -4.35102, 3.26672], [-4.39734, -3.51264, 3.00856], [-5.51212, -1.57907, -0.63647], [-7.81612, -2.41075, -0.38980], [-3.04156, -4.68286, 0.08901], [-2.58147, -5.78021, -2.07896], [-2.05565, -4.41855, -4.06904], [-2.02321, -1.94214, -3.90255], [-2.49673, -0.85639, -1.75841], [-0.82313, -3.60784, 0.81882], [0.15505, -4.82205, 2.86563], [0.31289, -3.51793, 5.06318], [-1.66818, -2.22950, 5.52028], [-3.23138, -1.50313, 3.71668], [3.83841, -8.18616, -4.54593], [2.99070, -6.84359, -3.76563], [2.17327, -7.07182, -2.66072], [1.51004, -6.03373, -2.04917], [1.61613, -4.66192, -2.49937], [0.96012, -3.62193, -1.88775], [2.47042, -4.49548, -3.65495], [3.12561, -5.54552, -4.25363], [2.06058, -8.08289, -2.28305], [0.87814, -6.24237, -1.19150], [0.27898, -3.79584, -1.06433], [0.99346, -2.62147, -2.30291], [2.59396, -3.49696, -4.06257], [3.75575, -5.36643, -5.11874]], "forces_ev_per_a": [[-0.6, -0.9, -0.7], [0.0, 0.0, -0.1], [0.0, 0.0, 0.0], [0.0, 0.1, 0.0], [0.0, 0.1, 0.1], [0.1, 0.1, 0.0], [0.0, 0.0, 0.0], [-0.1, 0.0, -0.1], [0.0, 0.1, 0.1], [0.1, -0.1, 0.0], [-0.1, 0.1, 0.0], [0.2, -0.1, 0.1], [0.0, 0.3, 0.2], [0.0, 0.0, 0.0], [0.0, 0.0, 0.0], [0.1, 0.0, 0.0], [0.1, 0.2, 0.2], [0.1, 0.0, 0.1], [-0.1, 0.0, 0.0], [0.0, 0.0, 0.0], [0.0, 0.0, 0.0], [0.0, 0.0, 0.1], [0.0, 0.0, 0.0], [0.1, 0.0, 0.0], [0.2, 0.3, 0.0], [0.0, 0.0, 0.0], [0.0, 0.0, 0.0], [0.0, 0.0, 0.0], [0.0, 0.0, 0.0], [0.0, 0.0, 0.0], [0.0, 0.0, 0.0], [0.0, 0.0, 0.0], [0.0, 0.0, 0.0], [0.0, 0.0, 0.0], [0.0, 0.0, 0.0], [0.0, 0.0, 0.0], [0.0, 0.0, 0.0], [0.0, 0.0, 0.0], [0.0, 0.0, 0.0], [0.0, 0.0, 0.0], [0.0, 0.0, 0.0], [0.0, 0.0, 0.0], [-0.1, 0.0, -0.1], [0.0, 0.0, 0.0], [0.0, 0.0, 0.0], [0.0, 0.0, 0.0], [0.0, 0.0, 0.0], [0.0, 0.0, 0.0], [0.0, 0.0, 0.0], [0.0, 0.0, 0.0], [0.0, 0.0, 0.0], [0.0, 0.0, 0.0], [0.0, 0.0, 0.0], [0.0, 0.0, 0.0], [-0.1, 0.0, 0.0], [0.1, 0.1, 0.0], [0.0, 0.0, 0.0], [0.0, 0.0, 0.0], [0.0, -0.1, 0.1], [0.0, 0.0, -0.1], [0.0, 0.0, 0.1], [0.0, 0.0, 0.1], [0.0, 0.0, 0.0], [0.0, 0.0, 0.0], [0.0, 0.0, 0.0], [0.0, 0.0, 0.0], [0.0, 0.0, 0.0], [0.0, 0.0, 0.0], [0.0, 0.0, 0.0], [0.0, 0.0, 0.0], [0.0, 0.0, 0.0], [0.0, 0.0, 0.0], [0.0, 0.0, 0.
- - -

    1. I'd like to see one of these employees take that shit to employment tribunal.
      "Then Mr Mottola proceeded to extract my soul while stabbing a virgin on the company altar".

  34. Anonymous7:44 AM

    My first thought was also Jane Fonda and Ted Turner but at their ages why bother?
    It's gotta be Mariah and Mottola. He's probably still angry about how she portrayed him when she made her split from him.
    Revenge is a dish best served cold they say, but it can also go bad if kept too long.
    What could anybody possibly say about Mariah Carey that would shock anybody at his point? She's bat poo crazy Mariah but she's our bat poo crazy Mariah.

    1. Anonymous8:41 AM

      She's also filthy rich.
      The royalties every year from "All I Want for Christmas is You" will make Mariah and her kids very wealthy for a long time.

  35. If it's Mottola and Mariah, why has he waited this long? When that whole Eminem thing happened, he could have swooped in and further made her life hell. He's waited too long.

    Monkeyweather, wasn't Chris Blackwell from Island Records a Satanist as well?

  36. I hope Mottola takes her over-rated fat ass and dumps it in the trash.
